The birth-control mandate also fails the Religious Freedom Restoration Act's "compelling governmental interest" and "least restrictive means" tests.
WSJ: Rivkin and Whelan: Birth-Control Mandate��Unconstitutional and Illegal
The refusal, for religious reasons, to provide birth-control coverage is clearly an exercise of religious freedom under the Constitution.
WSJ: Rivkin and Whelan: Birth-Control Mandate��Unconstitutional and Illegal
For example, conventional wisdom in the West is that the birth-control pill was an essential step toward women's liberation.
But the preparation he was using was then reformulated as the birth-control pill.
Other programmes, from help with birth-control and HIV-prevention to counselling against drug abuse and domestic violence, will be made smaller or eliminated altogether.
It's also promoted as a birth-control method and a feminine-hygiene product.
After winning independence from Pakistan, Bangladesh has probably fared better than Pakistan in areas of microcredit lending, grassroot development, voluntary birth-control, female education and press freedom.
In the past year, America's political leaders have laid before the nation the question of whether universities should be required to give free birth-control pills and devices to their students.
WSJ: Christopher DeMuth: A Referendum on ObamaCare and Liberty
The study, started in the 1970s in Matlab, compared a group with access to contraception and birth-control education to a similar group that did not have access to those things.
Last summer the health department decreed that all new health-insurance policies should cover birth-control services for women, including the morning-after pill (which most pro-lifers consider a form of abortion) and sterilisation.
The drug works by using high doses of the female hormone progestin, which also is contained in birth-control pills, to block a potentially fertilized egg from becoming implanted in a woman's uterus.
WSJ: Judge Eases Restrictions on Plan B Emergency Contraceptive
Schering AG, which operates under the name of Berlex Laboratories in the U.S., is a big player in birth-control pills, has blockbuster in the multiple sclerosis treatment Betaseron, and is developing some promising cancer drugs.
For those who need to spend the money in their flexible health spending account by the end of the year, the Chicago Tribune supplies a long list of items that qualify, including sunscreen and birth-control pills.
The drug works by using high doses of the female hormone progestin, which also is contained in birth-control pills, to prevent ovulation or block a potentially fertilized egg from becoming implanted in a woman's uterus, according to the drug's label.
WSJ: Judge Eases Restrictions on Plan B Emergency Contraceptive
It is not only a series of popes but also a number of prominent secular thinkers who believe that the birth-control pill has been one of the major milestones in human history a diverse group that runs from public intellectuals of a previous generation like Walter Lippmann to such contemporary scholars as Francis Fukuyama and Robert Putnam.
WSJ: Has the Sexual Revolution Been Good for Women? Mary Eberstadt: No
Under the new health care law, many insurers were, as of August 2012, required to cover the cost of most FDA-approved birth control prescribed by a doctor (but not abortifacient drugs).
This move comes just weeks after a federal judge in Brooklyn, New York, ordered the FDA to make the morning-after birth control pill available to women of any age, without a prescription.
Unmarried pledgers, however, were less likely than non-pledgers to use birth control (64 percent of pledge takers and 70 percent of non-pledge takers said they used it most of the time) or condoms (42 percent of pledge takers and 54 percent of non-pledge takers said they used them most of the time).
She suggested women who had completed their families should consider a permanent form of birth control such as sterilisation, and those who still wanted to have a family considered using a back-up form of birth control, such as a condom, as well as the Pill.
Her uncompromising opposition to abortion -- she called it murder -- and artificial birth control attracted the most criticism.
The amendment would grant full legal protection to embryos and foetuses and could outlaw some forms of birth control, stem-cell research and possibly in vitro fertilisation.
The Vatican has over recent decades issued blanket condemnations of artificial methods of birth control, in-vitro fertilization, therapeutic and reproductive cloning, and human embryonic stem cell research.
"Governor Rick Perry should not be able to decide which health centers a woman can go to for birth control, well-woman exams or cancer screenings, " Planned Parenthood president Cecile Richards said.
Misplaced calculated molecules
1.
18
Properties=species:S:1:pos:R:3:forces:R:3 method="wB97M-V/def2-TZVPD" lumo_energy_ev=0.7 charge=0 energy_ev=-9909.194 smiles=C[C@@H](O)[C@@H](N)CO homo_lumo_gap_ev=10.396
C -1.1418 -1.6467 0.1011 -1.994 0.537 -2.978
C 0.1660 -0.9867 0.2719 0.944 -0.013 5.152
O 1.1971 -1.4225 -0.5729 3.022 -0.412 0.545
C 0.0956 0.5254 0.4984 1.260 -0.231 0.141
N 1.4651 0.9048 1.1586 -4.325 -0.810 0.429
C -0.1771 1.3582 -0.7739 2.436 -1.165 -1.845
O -1.4901 1.0278 -1.4151 3.808 -1.771 1.145
H -0.9155 -2.6749 -0.0784 -0.227 -1.058 0.658
H -1.8908 -1.4282 0.9428 1.260 -0.439 -1.393
H -1.5470 -1.3601 -0.9294 -0.147 -0.077 1.482
H 0.3188 -1.3700 1.4005 0.756 0.860 -2.042
H 2.1675 -1.4788 -0.1262 -3.933 0.346 -1.178
H -0.7496 0.6285 1.2192 0.836 0.400 -0.236
H 1.4010 1.8826 1.1885 0.567 1.713 0.322
H 2.2010 0.6521 0.5774 1.406 -0.440 -1.502
H 0.7484 1.0759 -1.5412 -2.498 0.577 1.657
H 0.0072 2.4615 -0.5780 -0.845 -1.127 -0.217
H -1.8559 1.8511 -1.3432 -2.324 3.109 -0.141

2.
9
Properties=species:S:1:pos:R:3:forces:R:3 method="wB97M-V/def2-TZVPD" lumo_energy_ev=-0.2 charge=0 energy_ev=-235588.809 homo_lumo_gap_ev=8.160
C -0.0059 -0.5410 -0.8454 0.133 2.686 3.081
C -0.8424 0.6743 0.7812 1.432 -3.457 -1.601
S 1.4873 -1.3203 -0.3405 0.269 0.208 -0.276
Cl 2.9799 0.0902 -0.4370 -0.608 -0.145 0.000
Br -1.1834 -1.9710 -1.0729 -0.492 0.028 -0.334
Br -0.1276 2.3395 0.5961 0.594 1.290 0.074
Br -0.5140 -0.2841 2.4330 -0.463 0.654 -1.067
H -0.0171 0.4189 -1.3874 0.082 -1.161 -0.611
H -1.7768 0.5937 0.2729 -0.947 -0.104 0.734

3.
18
Properties=species:S:1:pos:R:3:forces:R:3 method="wB97M-V/def2-TZVPD" lumo_energy_ev=1.0 charge=0 energy_ev=-9353.865 homo_lumo_gap_ev=10.089
C -1.1994 0.2258 -1.9877 -0.391 -1.395 -3.782
C 1.2532 -1.0597 -0.1437 1.351 -1.836 -2.762
C 0.8027 -0.3439 0.8908 -6.719 2.676 4.146
C -0.1480 -0.2131 2.1929 3.250 -0.388 1.032
C -0.7597 1.0389 1.3916 -0.358 -5.166 0.175
C -0.4339 0.2648 0.0569 -0.857 -1.276 5.934
H -1.7566 1.2813 -2.3241 1.370 -3.140 0.994
H -1.8629 -0.6470 -1.2354 1.426 3.187 -3.492
H -0.9628 -0.6810 -3.2203 -0.379 3.165 3.540
H 1.8564 -1.8834 -0.1410 1.590 -2.149 -0.240
H 1.2281 0.5818 0.9896 2.617 1.998 0.359
H -0.9303 -0.9609 2.3698 0.127 0.122 -0.639
H 0.5602 -0.3416 3.2067 -2.069 1.356 -2.413
H -0.3658 1.9190 1.2167 3.173 4.420 0.375
H -1.6805 1.2364 1.7778 -3.228 0.295 0.233
H -1.2125 -0.6006 -0.1348 2.101 1.563 1.925
N 0.1890 0.6124 -1.1744 -5.603 -1.749 -0.741
N 0.9593 -0.5239 -1.2413 2.601 -1.683 -4.644

4.
28
Properties=species:S:1:pos:R:3:forces:R:3 method="wB97M-V/def2-TZVPD" lumo_energy_ev=-0.2 charge=0 energy_ev=-18597.353 smiles="CC1=CC(C)(C)C(C#N)(C#N)C(N)=C1C#N" homo_lumo_gap_ev=8.225
C -0.4795 0.4682 -3.0730 -0.965 0.742 0.592
C -0.3241 0.2724 -1.5749 1.506 -1.303 -0.324
C 0.7312 -0.4659 -1.1130 -1.863 1.824 -0.323
C 0.9039 -0.7514 0.3571 0.339 -1.349 -0.578
C 2.4005 -1.0481 0.6234 -0.249 -0.103 1.288
C 0.0796 -2.0561 0.6324 0.349 -0.165 0.795
C 0.3427 0.4326 1.2121 0.138 0.050 -0.191
As an animal rights activist I can chime in as follows: were it not for the technologies of immuno-contraception (birth control for other species) there would be an even more vast realm of needless suffering.
He was at the FDA during the initial consideration of the request to sell the so-called morning after birth control over the counter.
After the market closed Thursday Conceptus, which makes a nonincisional permanent birth control method, cut its second-quarter and full-year outlooks, citing the weak economy and high unemployment, which it said is causing would-be patients to put off their doctor visits.
Mr Connelly starts with the 19th-century campaigners who published illegal manuals on birth control.
If cost-takeouts are the only road to profitability, are the insurers prepared to deal with pesky little matters like the public funding of birth control, abortion, home births and c-sections, i.e.
Obama promised to change the birth control requirement so insurance companies and not faith-affiliated employers would pay for the coverage, but religious leaders said more changes were needed to make the plan work.